Listing >
____________
Below is a geometry-optimized CdSbPO2 structure, with properties calculated at the GGA-PBE level.

Computed properties:
The calculation puts the formation energy without anion corrections at 310 meV per atom. The value obtained for the energy is -0.2766 Ry per atom. The mass density comes out at 5.65 g cm⁻³. The relative energy among the computed polymorphs comes out at 3.94 eV/f.u. As for the density of states at the Fermi level: 4.25 states/eV/cell.

```
data_CdSbPO2
_symmetry_space_group_name_H-M 'P 4/m m m'
_symmetry_Int_Tables_number 123
_symmetry_space_group_name_Hall '-P 4 2'
_cell_length_a 4.1451
_cell_length_b 4.1451
_cell_length_c 5.0853
_cell_angle_alpha 90.00
_cell_angle_beta 90.00
_cell_angle_gamma 90.00
loop_
_atom_site_label
_atom_site_type_symbol
_atom_site_fract_x
_atom_site_fract_y
_atom_site_fract_z
Cd1 Cd 0.0000 0.0000 0.0000
Sb1 Sb 0.5000 0.5000 0.5000
P1 P 0.0000 0.0000 0.5000
O1 O 0.0000 0.5000 0.0000
```

=====

No. 1
The following is a PBE-GGA calculation of FeHgRh2 after structural relaxation, from Alexandria via LeMat-Bulk.

Unit cell a=3.9152 b=3.9152 c=8.0457 alpha=90.00 beta=90.00 gamma=90.00
Space group I-4m2 (No. 119)
Unique sites:
Fe 0.0000 0.0000 0.0000
Hg 0.0000 0.5000 0.2500
Rh 0.0000 0.0000 0.5000
Rh 0.0000 0.5000 0.7500

Values from the calculation:
For the total magnetization, the calculation gives 7.8 μB/cell. Its mass density is 12447 kg/m3. Its crystal system is tetragonal. The calculation puts the density of states at the Fermi level at 10.39 states/eV/cell. As for the energy relative to the elements: 0.19 eV per atom. The final energy comes out at -0.208 hartree per atom.

---

No. 2
The following is a PBE-GGA calculation of DyB2RuRh after structural relaxation, from Alexandria via LeMat-Bulk.

Unit cell a=3.9087 b=3.9087 c=9.3591 alpha=90.00 beta=90.00 gamma=90.00
Space group I-4m2 (No. 119)
Unique sites:
Dy 0.0000 0.0000 0.0000
B 0.0000 0.0000 0.3409
Ru 0.0000 0.5000 0.7500
Rh 0.0000 0.5000 0.2500

Values from the calculation:
For the total magnetization, the calculation gives 0.0 μB/cell. Its mass density is 9014 kg/m3. Its crystal system is tetragonal. The calculation puts the density of states at the Fermi level at 1.53 states/eV/cell. As for the energy relative to the elements: -0.60 eV per atom. The final energy comes out at -0.276 hartree per atom.

---

No. 3
The following is a PBE-GGA calculation of CuTcAsRh after structural relaxation, from Alexandria via LeMat-Bulk.

Unit cell a=6.0369 b=6.0369 c=6.0369 alpha=90.00 beta=90.00 gamma=90.00
Space group F-43m (No. 216)
Unique sites:
Cu 0.0000 0.0000 0.0000
Tc 0.2500 0.2500 0.2500
As 0.0000 0.0000 0.5000
Rh 0.2500 0.2500 0.7500

Values from the calculation:
For the total magnetization, the calculation gives 0.0 μB/cell. Its mass density is 10246 kg/m3. Its crystal system is cubic. The calculation puts the density of states at the Fermi level at 13.94 states/eV/cell. As for the energy relative to the elements: -0.05 eV per atom. The final energy comes out at -0.245 hartree per atom.

---

No. 4
The following is a PBE-GGA calculation of CdSnSe2 after structural relaxation, from Alexandria via LeMat-Bulk.

Unit cell a=3.8394 b=3.8394 c=29.0949 alpha=90.00 beta=90.00 gamma=120.00
Space group R-3m (No. 166, hexagonal axes)
Unique sites:
Cd 0.0000 0.0000 0.0000
Sn 0.0000 0.0000 0.5000
Se 0.0000 0.0000 0.1104

Values from the calculation:
For the total magnetization, the calculation gives 0.0 μB/cell. Its mass density is 5218 kg/m3. Its crystal system is trigonal. The calculation puts the density of states at the Fermi level at 3.74 states/eV/cell. The final energy comes out at -0.115 hartree per atom. As for the formation energy without anion corrections: -0.145 eV per atom.

---

No. 5
The following is a PBE-GGA calculation of LaTl2Cl after structural relaxation, from Alexandria via LeMat-Bulk.

Unit cell a=4.8048 b=4.8048 c=5.7993 alpha=90.00 beta=90.00 gamma=90.00
Space group P4/mmm (No. 123)
Unique sites:
____________
Wanted >
Count the lines above that contain the word "Tc" and give the number alone.
Solution >
1